
Sunday, July 25, 2010

If you never change your mind, why have one?

I was reading Scott McLeod's blog Dangerously Irrelevant when I came across a post that asked the question: Should we absolve Diane Ravitch of her earlier decisions?

Scott asks:

What should we do with Diane Ravitch? Welcome her back into the fold of public education advocates? Do we just say, “Oh, hey, glad you now see the light. Thanks for joining us!” Or do we continue to condemn her for past actions, believing that current contrition is not enough?
The first thought that comes to my mind is an old quote that I've read somewhere:

If you never change your mind, why have one?
If keeping an open mind and being willing to change one's opinion based on new information is good for kids, it had better be good for adults, too.

Calculated molecules from another source follow:
=====
(1)
A gas-phase ion, C8H14NO3 (charge +1) in a non-equilibrium geometry, computed with the ωB97M-V functional and the def2-TZVPD basis.

```
26
C8H14NO3 (the ωB97M-V functional and the def2-TZVPD basis)
C -0.331 1.748 0.148
C -1.058 -0.166 -1.277
C -0.753 -0.539 1.276
C 0.409 -0.770 -1.495
C 0.414 -1.437 0.916
C -1.117 0.493 0.155
C 1.786 0.471 -0.013
C -2.552 1.040 0.376
N 1.186 -0.842 -0.237
O -0.271 2.851 0.345
O 2.740 0.665 -0.945
O 2.283 0.441 1.268
H -1.307 0.738 -1.805
H -1.793 -0.922 -1.434
H -1.597 -1.176 1.344
H -0.715 -0.022 2.195
H 0.536 -1.644 -2.125
H 0.933 0.008 -2.229
H 1.069 -1.304 1.738
H 0.002 -2.371 0.520
H -2.684 1.970 -0.324
H -2.646 1.429 1.456
H -3.305 0.259 0.039
H 1.940 -1.523 -0.375
H 3.567 0.171 -0.779
H 3.264 0.429 1.261
```

## Properties
Electronic energy in eV: -16142.5983
Total charge: +1
Spin multiplicity: 3
⟨S²⟩: 2.0047
HOMO-LUMO gap (alpha / beta) in eV: 5.8 / 9.5
ΔE to the lowest compared entry with this formula, charge and spin in kcal per mole: 7.9

Here are the Löwdin charges for atoms 1 to 6, given in e: -0.22, -0.05, -0.08, -0.06, -0.04, -0.46

(2)
A gas-phase ion, C8H14NO5 (charge +1) in a non-equilibrium geometry, computed with the ωB97M-V functional and the def2-TZVPD basis.

```
28
C8H14NO5 (the ωB97M-V functional and the def2-TZVPD basis)
C -1.377 1.279 -0.172
C -1.453 -1.194 0.679
C -0.984 -0.108 1.611
C 0.559 -0.268 1.727
C 1.256 -0.173 0.304
C 0.560 -1.174 -0.646
C -1.817 2.620 -0.607
C 1.222 -0.844 -2.047
N -1.247 1.182 1.083
O -1.267 0.311 -1.131
O 1.242 0.662 2.529
O 2.573 -0.502 0.350
O 0.652 -1.786 -2.887
O -0.880 -0.995 -0.667
H -1.168 -2.276 0.825
H -2.456 -1.420 0.575
H -1.330 -0.139 2.573
H 0.811 -1.171 2.221
H 1.265 0.948 0.095
H 0.971 -2.172 -0.502
H -1.015 3.436 -0.605
H -2.596 3.010 -0.046
H -2.202 2.856 -1.570
H 2.242 -1.059 -2.038
H 0.901 0.078 -2.450
H 1.532 0.424 3.403
H 2.997 -0.133 1.095
H 1.010 -1.393 -3.701
```

## Properties
Electronic energy in eV: -20236.6464
Total charge: +1
Spin multiplicity: 1
HOMO-LUMO gap in eV: 9.4
ΔE to the lowest compared entry with this formula, charge and spin in kcal per mole: 85.1

Here are the Löwdin charges for atoms 1 to 6, given in e: -0.35, 0.04, -0.21, -0.25, -0.29, -0.09

(3)
C8H14NOPS in the gas phase in a non-equilibrium geometry, computed with the ωB97M-V functional and the def2-TZVPD basis.

```
26
C8H14NOPS (the ωB97M-V functional and the def2-TZVPD basis)
C -2.546 -1.159 0.359
C -3.426 1.005 -0.172
C -2.191 0.123 -0.169
C 0.434 -0.056 -0.090
C 2.336 -0.732 -1.466
C 2.398 -0.901 1.021
C 2.517 1.388 -0.235
C 1.856 -0.030 -0.233
N -3.969 1.165 1.074
O -3.989 1.355 -1.187
P -2.247 -2.677 -0.330
S -0.795 0.825 0.747
H -2.892 -1.108 1.464
H -1.856 0.041 -1.289
H -0.060 -0.978 -0.472
H 2.287 -1.769 -1.396
H 3.361 -0.387 -1.838
H 1.601 -0.425 -2.130
H 3.481 -0.763 1.136
H 2.053 -0.409 1.946
H 2.108 -2.032 1.073
H 2.151 2.023 0.510
H 2.257 1.856 -1.201
H 3.679 1.420 -0.275
H -3.620 0.560 1.899
H -4.928 1.667 1.253
```

## Properties
=====

I also was very impressed with Kate Nowak's comment:

Would you instead have her stick to her guns despite having learned and grown and changed her mind? A public reversal this drastic can’t have been easy but I think it speaks to her intellectual integrity.

I'll put it another way. If Barrack Obama came out tomorrow and said he made a mistake appointing Arne Duncan as Secretary of Education and wanted to replace him with an educator like Linda-Darling Hammond, would we embrace him?

If Arne Duncan came out tomorrow and said that he was wrong to enforce even more test and punish accountability, and that he wanted to work with teachers to develop performance assessments that assessed a sample of students rather than everyone, would we embrace him?

Still not convinced?

On a personal level, I have to embrace Diane. Knowing that my first four years of teaching was filled with assigning homework, worksheets and Nazi-like adherence to a grading regiment, I could not live with myself if I did not allow Diane to change her mind and her ways just as I did.

Just as sound classroom assessment practices should focus on how well students understand something and not simply when they understand it, we must do the same for Diane.

Just as sound classroom assessment practices should focus less on cataloging mistakes and more on helping kids grow, we too must do the same for Diane.

We accomplish nothing by burying hatchets in one another's backs.


  1. Let's not forget the favorite website of Progressives is HuffPo. Arianna Huffington did a complete political 180, from right to left. She's the biggest thing on the web. Not much condemnation there.

    I agree with Joe.

  2. I agree with the main premise, but . . .

    why does she have to be the absolute expert people quote? I see people retweet whatever she writes and honestly it isn't well-written, innovative or interesting. There are others saying the same thing with better reasons, better language and a track record to back them up.

    why is she seen as someone who has more knowledge than others when folks like Alfie Kohn have been saying this stuff for years?

    why is she chosen as a keynote speaker at the NEA conference rather than a teacher?

    I am more than happy with welcoming her back into the fold, but I'm not quite ready to make her the leader.

  3. Yes, if you got opportunity to learn anything good then must accept it even from your subordinates.
